The reader should write out all of the lines below without altering anything.
(1)
DFT (PBE) results for a relaxed structure of MgTi2Nb2Cu3O12.

Structure (extended XYZ):
```
20
Lattice="4.061 1.485 4.984 -6.620 0.787 2.148 1.023 -6.149 -1.778" Properties=species:S:1:pos:R:3 pbc="T T T"
Mg -3.546 -2.690 1.260
Ti 1.914 0.714 2.949
Ti -3.526 0.421 1.166
Nb 0.290 -3.084 -0.716
Nb -0.856 -1.828 2.880
Cu -1.543 1.160 3.710
Cu 2.506 -2.306 1.634
Cu 1.664 -1.565 4.191
O 1.337 0.599 4.640
O 1.036 -0.973 2.395
O 3.097 -2.888 3.499
O -1.858 -0.263 2.334
O -2.937 0.615 5.171
O -0.897 -1.340 4.735
O -0.662 -2.552 0.822
O 1.541 -4.371 0.269
O 0.238 -3.644 3.125
O -4.544 -1.041 1.864
O -2.594 -2.859 3.016
O -2.795 -4.446 0.637
```

Results
Energy relative to the lowest polymorph listed for this composition: 61 meV per atom
Size of the total moment: 1.00 μB/cell
Energy with MP2020 corrections: -7.88 eV per atom
DFT formation energy: -233.16 kJ per mole of atoms
Calculated volume: 11.6 A^3/atom


(2)
DFT (PBE) results for a relaxed structure of MgTi2Nb2Cu3O12.

Structure (extended XYZ):
```
20
Lattice="-3.780 3.781 3.791 3.780 -3.781 3.791 3.785 3.785 -3.791" Properties=species:S:1:pos:R:3 pbc="T T T"
Mg 0.000 0.000 0.000
Ti -1.890 1.890 1.895
Ti 1.890 -1.890 1.895
Nb 1.892 1.893 -1.895
Nb 1.892 1.893 1.895
Cu 0.000 0.000 3.791
Cu 0.002 3.783 0.000
Cu 3.782 0.002 0.000
O -1.541 2.426 3.791
O -0.012 2.252 1.346
O 0.016 5.314 1.346
O 1.343 -0.013 2.256
O 1.343 -0.013 5.325
O 1.519 2.461 3.791
O 2.266 1.325 0.000
O 2.442 3.799 -1.535
O 2.442 3.798 1.535
O 3.768 -1.528 2.445
O 3.797 1.533 2.445
O 5.325 1.360 0.000
```

Results
Energy relative to the lowest polymorph listed for this composition: 0 meV per atom
Size of the total moment: 1.13 μB/cell
Energy with MP2020 corrections: -7.94 eV per atom
DFT formation energy: -239.02 kJ per mole of atoms
Calculated volume: 10.8 A^3/atom


(3)
DFT (PBE) results for a relaxed structure of MgTi3NbCu3O12.

Structure (extended XYZ):
```
20
Lattice="-3.992 3.841 3.973 3.911 -3.659 3.709 3.990 3.662 -3.790" Properties=species:S:1:pos:R:3 pbc="T T T"
Mg -0.081 1.094 4.404
Ti 1.785 5.746 -1.592
Ti 2.141 -1.759 2.108
Ti 2.164 1.946 -2.003
Nb 1.826 2.028 1.852
Cu 4.012 2.763 -0.632
Cu 0.002 3.861 0.121
Cu 3.931 0.071 0.030
O -1.470 2.471 3.955
O 0.022 2.428 1.446
O -0.098 5.321 1.559
O 1.427 0.228 5.443
O 1.539 0.145 2.384
O 1.343 2.471 3.922
O 2.506 1.492 0.069
O 2.486 3.764 -1.365
O 2.433 3.935 1.727
O 3.891 -1.373 2.329
O 3.961 1.617 2.500
O 5.384 1.505 0.069
```

Results
Energy relative to the lowest polymorph listed for this composition: 77 meV per atom
Size of the total moment: 2.00 μB/cell
Energy with MP2020 corrections: -7.81 eV per atom
DFT formation energy: -236.85 kJ per mole of atoms
Calculated volume: 11.4 A^3/atom


(4)
DFT (PBE) results for a relaxed structure of MgTi2Nb2Cu3O12.

Structure (extended XYZ):
```
20
Lattice="-4.032 4.009 4.066 3.841 -3.853 3.721 3.852 3.680 -3.910" Properties=species:S:1:pos:R:3 pbc="T T T"
Mg -0.324 1.237 4.403
Ti 1.647 -1.585 5.924
Ti 5.773 1.705 -1.797
Nb 2.086 2.134 -1.912
Nb 1.684 1.942 1.909
Cu 4.084 2.787 -0.227
Cu 3.716 0.099 3.828
Cu 3.835 -0.016 -0.025
O -1.615 2.644 3.931
O -0.100 2.459 1.443
O -0.193 5.450 1.599
O 1.467 0.049 2.285
O 1.191 0.106 5.303
O 1.276 2.426 3.904
O 2.364 1.525 0.013
O 2.459 3.903 -1.357
O 2.169 3.970 1.641
O 3.860 -1.551 2.169
O 3.785 1.503 2.434
O 5.351 1.255 -0.038
```

Results
Energy relative to the lowest polymorph listed for this composition: 63 meV per atom
Size of the total moment: 1.00 μB/cell
Energy with MP2020 corrections: -7.88 eV per atom
DFT formation energy: -232.92 kJ per mole of atoms
Calculated volume: 11.5 A^3/atom


(5)
DFT (PBE) results for a relaxed structure of MgTi3NbCu3O12.

Structure (extended XYZ):
```
20
Lattice="-2.220 -2.450 5.584 1.493 6.261 0.829 -4.575 -0.544 -4.570" Properties=species:S:1:pos:R:3 pbc="T T T"
Mg 0.000 0.000 0.000
Ti -1.110 -1.225 2.792
Ti 0.746 3.130 0.415
Ti -2.288 -0.272 -2.285
Nb -2.651 1.633 0.922
Cu -0.364 1.905 3.207
Cu -3.398 -1.497 0.507
(1)
DFT (PBE) results for a relaxed structure of MgTi2Nb2Cu3O12.

Structure (extended XYZ):
```
20
Lattice="4.061 1.485 4.984 -6.620 0.787 2.148 1.023 -6.149 -1.778" Properties=species:S:1:pos:R:3 pbc="T T T"
Mg -3.546 -2.690 1.260
Ti 1.914 0.714 2.949
Ti -3.526 0.421 1.166
Nb 0.290 -3.084 -0.716
Nb -0.856 -1.828 2.880
Cu -1.543 1.160 3.710
Cu 2.506 -2.306 1.634
Cu 1.664 -1.565 4.191
O 1.337 0.599 4.640
O 1.036 -0.973 2.395
O 3.097 -2.888 3.499
O -1.858 -0.263 2.334
O -2.937 0.615 5.171
O -0.897 -1.340 4.735
O -0.662 -2.552 0.822
O 1.541 -4.371 0.269
O 0.238 -3.644 3.125
O -4.544 -1.041 1.864
O -2.594 -2.859 3.016
O -2.795 -4.446 0.637
```

Results
Energy relative to the lowest polymorph listed for this composition: 61 meV per atom
Size of the total moment: 1.00 μB/cell
Energy with MP2020 corrections: -7.88 eV per atom
DFT formation energy: -233.16 kJ per mole of atoms
Calculated volume: 11.6 A^3/atom


(2)
DFT (PBE) results for a relaxed structure of MgTi2Nb2Cu3O12.

Structure (extended XYZ):
```
20
Lattice="-3.780 3.781 3.791 3.780 -3.781 3.791 3.785 3.785 -3.791" Properties=species:S:1:pos:R:3 pbc="T T T"
Mg 0.000 0.000 0.000
Ti -1.890 1.890 1.895
Ti 1.890 -1.890 1.895
Nb 1.892 1.893 -1.895
Nb 1.892 1.893 1.895
Cu 0.000 0.000 3.791
Cu 0.002 3.783 0.000
Cu 3.782 0.002 0.000
O -1.541 2.426 3.791
O -0.012 2.252 1.346
O 0.016 5.314 1.346
O 1.343 -0.013 2.256
O 1.343 -0.013 5.325
O 1.519 2.461 3.791
O 2.266 1.325 0.000
O 2.442 3.799 -1.535
O 2.442 3.798 1.535
O 3.768 -1.528 2.445
O 3.797 1.533 2.445
O 5.325 1.360 0.000
```

Results
Energy relative to the lowest polymorph listed for this composition: 0 meV per atom
Size of the total moment: 1.13 μB/cell
Energy with MP2020 corrections: -7.94 eV per atom
DFT formation energy: -239.02 kJ per mole of atoms
Calculated volume: 10.8 A^3/atom


(3)
DFT (PBE) results for a relaxed structure of MgTi3NbCu3O12.

Structure (extended XYZ):
```
20
Lattice="-3.992 3.841 3.973 3.911 -3.659 3.709 3.990 3.662 -3.790" Properties=species:S:1:pos:R:3 pbc="T T T"
Mg -0.081 1.094 4.404
Ti 1.785 5.746 -1.592
Ti 2.141 -1.759 2.108
Ti 2.164 1.946 -2.003
Nb 1.826 2.028 1.852
Cu 4.012 2.763 -0.632
Cu 0.002 3.861 0.121
Cu 3.931 0.071 0.030
O -1.470 2.471 3.955
O 0.022 2.428 1.446
O -0.098 5.321 1.559
O 1.427 0.228 5.443
O 1.539 0.145 2.384
O 1.343 2.471 3.922
O 2.506 1.492 0.069
O 2.486 3.764 -1.365
O 2.433 3.935 1.727
O 3.891 -1.373 2.329
O 3.961 1.617 2.500
O 5.384 1.505 0.069
```

Results
Energy relative to the lowest polymorph listed for this composition: 77 meV per atom
Size of the total moment: 2.00 μB/cell
Energy with MP2020 corrections: -7.81 eV per atom
DFT formation energy: -236.85 kJ per mole of atoms
Calculated volume: 11.4 A^3/atom


(4)
DFT (PBE) results for a relaxed structure of MgTi2Nb2Cu3O12.

Structure (extended XYZ):
```
20
Lattice="-4.032 4.009 4.066 3.841 -3.853 3.721 3.852 3.680 -3.910" Properties=species:S:1:pos:R:3 pbc="T T T"
Mg -0.324 1.237 4.403
Ti 1.647 -1.585 5.924
Ti 5.773 1.705 -1.797
Nb 2.086 2.134 -1.912
Nb 1.684 1.942 1.909
Cu 4.084 2.787 -0.227
Cu 3.716 0.099 3.828
Cu 3.835 -0.016 -0.025
O -1.615 2.644 3.931
O -0.100 2.459 1.443
O -0.193 5.450 1.599
O 1.467 0.049 2.285
O 1.191 0.106 5.303
O 1.276 2.426 3.904
O 2.364 1.525 0.013
O 2.459 3.903 -1.357
O 2.169 3.970 1.641
O 3.860 -1.551 2.169
O 3.785 1.503 2.434
O 5.351 1.255 -0.038
```

Results
Energy relative to the lowest polymorph listed for this composition: 63 meV per atom
Size of the total moment: 1.00 μB/cell
Energy with MP2020 corrections: -7.88 eV per atom
DFT formation energy: -232.92 kJ per mole of atoms
Calculated volume: 11.5 A^3/atom


(5)
DFT (PBE) results for a relaxed structure of MgTi3NbCu3O12.

Structure (extended XYZ):
```
20
Lattice="-2.220 -2.450 5.584 1.493 6.261 0.829 -4.575 -0.544 -4.570" Properties=species:S:1:pos:R:3 pbc="T T T"
Mg 0.000 0.000 0.000
Ti -1.110 -1.225 2.792
Ti 0.746 3.130 0.415
Ti -2.288 -0.272 -2.285
Nb -2.651 1.633 0.922
Cu -0.364 1.905 3.207
Cu -3.398 -1.497 0.507